Why Vertical Pipe Restoration is Key to Keeping Your Building Safe

3 min readOct 2, 2023


Photo by the blowup on Unsplash

As a property owner, you’re concerned about keeping your building safe from all kinds of hazards. But water damage can be some of the sneakiest and most dangerous kinds of damage possible. There are many different ways you can prevent water damage depending on the source. Old pipes are a common culprit for water damage. With vertical pipe restoration, you can keep your pipes up-to-date and your property safe. Taking the time to restore old or broken pipes can save you from costly water damage repairs in the future.

[These calculated crystals were left in the entry by mistake]
Compound: ZrHgBi
Source: Alexandria via LeMat-Bulk
Functional: PBE
Structure: relaxed

Computed properties:
For the final energy, the calculation gives -26.2 eV per cell. The calculation puts the formation energy at -0.127 eV/atom. The value obtained for the spin magnetization is 0.0 μB/f.u.

Cell lengths 3.271, 5.966, 8.225 Å; angles 79.97, 81.10, 75.59 degrees
Space group P1 (No. 1)
Inequivalent atoms, fractional coordinates:
Zr 0.000 0.000 0.000 [1 per cell]
Zr 0.026 0.560 0.403 [1 per cell]
Hg 0.498 0.307 0.704 [1 per cell]
Hg 0.751 0.791 0.707 [1 per cell]

How Vertical Pipe Restoration Works

Repairing pipes isn’t always easy, especially with vertical pipes. Their size, shape, and position pose a challenge, and if they’re interior pipes, workers have to drill through the walls to reach them. But new CIPP (cured-in-place pipe) technology makes vertical pipe restoration easier than ever.

With CIPP, vertical pipes are restored from the inside rather than the outside. CIPP liners are inserted using remote access technology and then attached to the host pipe over the damage or even replacing entire sections of old pipelines. The liners are made with a mixed-fiber surface on one side and a resin coating on the other. Once the resin cures, the liner forms a water-tight seal, and pipes are safe to use once more.

The Benefits of CIPP for Vertical Pipe Restoration

New CIPP pipes are more durable and effective than other pipeline replacement options. A newly installed CIPP pipeline lasts up to fifty years, adding more property value than regular pipe restoration. And by not having to break through walls or floors to get to pipes, you don’t have to spend extra time and money on building repairs. CIPP vertical pipe restoration is a cost-effective method that helps prevent water damage in your buildings and adds value to your property.

The Dangers of Water Damage

If your pipes are damaged or old, it’s best not to wait for repairs or restoration. Even a small amount of water can severely damage the structural integrity of your home or cause mold to grow. Old and broken pipes are at a greater risk of leaks and bursts. Getting them repaired as soon as possible is key to keeping your property safe from floods, sinkholes, and other water-related damages.

Where to Get Vertical Pipe Restoration

When getting a pipe restored on your property, you want to make sure you have a trusted company on your side. You’re trusting the safety of your building to strangers, so you want to make sure they know what they’re doing. Hiring a technician who’s trained and certified in vertical pipe restoration is your best bet. Using CIPP can take some time to perfect, and you don’t want to risk an improper job. Taking the time to research a qualified vertical pipe restoration company can ensure your property is dry and safe.

